What this change by Apple does reinforce is the need to remain flexible and adaptable in the area of digital marketing.

The Impact of Apple’s Recent Update on Digital Ads

On 26 April, Apple introduced its new privacy settings in the iOS 14 update.  A feature called App Tracking Transparency (ATT). [1]  According to Forbes it is a stunning new privacy move that will be a game changer for all iPhone users. [2]

What comes next are crystal structures, not part of the piece:
'''
Entry 1:
Theoretical powder XRD pattern of Na5B8C2 for copper Kα, from a DFT-relaxed cell (PBE, Alexandria).

Most intense lines, 15 to 90 degrees two-theta, by angle:
2θ = 35.1°, I 22
2θ = 41.0°, I 100
2θ = 41.5°, I 53
2θ = 41.8°, I 38
2θ = 63.8°, I 17
2θ = 79.2°, I 17

Cell and atoms:
Lattice parameters (Å, degrees): 8.6502 7.8273 7.8273 142.50 90.00 90.00
Atoms (fractional coordinates):
Na 0.2483 0.0999 0.9001
Na 0.2483 0.9001 0.0999
Na 0.2492 0.4991 0.4991
Na 0.2506 0.3039 0.7046
Na 0.2506 0.7046 0.3039
Na 0.7494 0.3039 0.7046
Na 0.7494 0.7046 0.3039
Na 0.7508 0.4991 0.4991
Na 0.7517 0.0999 0.9001
Na 0.7517 0.9001 0.0999
B 0.0000 0.0057 0.3906
B 0.0000 0.0221 0.6192
B 0.0000 0.1642 0.1642
B 0.0000 0.3906 0.0057
B 0.0000 0.5714 0.7600
B 0.0000 0.6192 0.0221
B 0.0000 0.7600 0.5714
B 0.5000 0.0378 0.6455
B 0.5000 0.2267 0.4083
B 0.5000 0.3877 0.9845
B 0.5000 0.4083 0.2267
B 0.5000 0.5591 0.7634
B 0.5000 0.6455 0.0378
B 0.5000 0.7634 0.5591
B 0.5000 0.8319 0.8319
B 0.5000 0.9845 0.3877
C 0.0000 0.2337 0.4237
C 0.0000 0.4237 0.2337
C 0.0000 0.8278 0.8278
C 0.5000 0.1558 0.1558

---

Entry 2:
Theoretical powder XRD pattern of Na4B7C for copper Kα, from a DFT-relaxed cell (PBE, Alexandria).

Most intense lines, 15 to 90 degrees two-theta, by angle:
2θ = 35.1°, I 19
2θ = 40.4°, I 49
2θ = 41.0°, I 100
2θ = 41.8°, I 35
2θ = 62.0°, I 18
2θ = 77.6°, I 17

Cell and atoms:
Lattice parameters (Å, degrees): 2.9354 8.6400 10.4390 90.00 90.00 90.00
Atoms (fractional coordinates):
Na 0.0000 0.2473 0.0000
Na 0.0000 0.2519 0.5029
Na 0.0000 0.7481 0.5029
Na 0.0000 0.7527 0.0000
Na 0.5000 0.2477 0.7517
Na 0.5000 0.2523 0.2514
Na 0.5000 0.7477 0.2514
Na 0.5000 0.7523 0.7517
B 0.0000 0.0000 0.1711
B 0.0000 0.0000 0.3385
B 0.0000 0.0000 0.6678
B 0.0000 0.0000 0.8299
B 0.0000 0.5000 0.1641
B 0.0000 0.5000 0.3293
B 0.0000 0.5000 0.8324
B 0.5000 0.0000 0.0849
B 0.5000 0.0000 0.4150
B 0.5000 0.0000 0.5828
B 0.5000 0.0000 0.9230
B 0.5000 0.5000 0.0614
B 0.5000 0.5000 0.4296
B 0.5000 0.5000 0.6010
C 0.0000 0.5000 0.6770
C 0.5000 0.5000 0.9105

---

Entry 3:
Theoretical powder XRD pattern of Na5B8C2 for copper Kα, from a DFT-relaxed cell (PBE, Alexandria).

Most intense lines, 15 to 90 degrees two-theta, by angle:
2θ = 36.2°, I 16
2θ = 39.9°, I 49
2θ = 41.7°, I 38
2θ = 41.9°, I 100
2θ = 62.1°, I 18
2θ = 77.6°, I 17

Cell and atoms:
Lattice parameters (Å, degrees): 8.6659 13.3052 13.3052 12.13 90.00 90.00
Atoms (fractional coordinates):
Na 0.2482 0.0000 0.0000
Na 0.2503 0.2006 0.2006
Na 0.2496 0.7997 0.7997
Na 0.2512 0.3995 0.3995
Na 0.2510 0.6011 0.6011
Na 0.7488 0.3995 0.3995
Na 0.7490 0.6011 0.6011
Na 0.7497 0.2006 0.2006
Na 0.7504 0.7997 0.7997
Na 0.7518 0.0000 0.0000
B 0.0000 0.0778 0.0778
B 0.0000 0.2590 0.2590
B 0.0000 0.3256 0.3256
B 0.0000 0.4731 0.4731
B 0.0000 0.5362 0.5362
B 0.0000 0.6674 0.6674
B 0.0000 0.8661 0.8661
B 0.0000 0.9302 0.9302
B 0.5000 0.0674 0.0674
B 0.5000 0.1306 0.1306
B 0.5000 0.3291 0.3291
B 0.5000 0.5248 0.5248
B 0.5000 0.6725 0.6725
'''
The piece goes on:


When people use apps on their phone, it can be tracked across other apps and websites in order to target the individual with advertising. This is currently done through the identifier for advertisers (IDFA), which tracks without revealing the personal information of the individual. [3]

**Crystal structures that have nothing to do with the page:**
-- begin --
# 1
Pm5PrHo2Er: simulated XRD peak list (Cu Kα), based on a GGA-PBE-relaxed structure.
Neutral-atom scattering factors, no anomalous dispersion.

Principal peaks in the range 2θ = 10–90°, in order of falling intensity:
| Position (°2θ) | d_spacing | I/Imax |
| --- | --- | --- |
| 31.90 | 2.805 | 100 |
| 31.43 | 2.846 | 43 |
| 30.03 | 2.976 | 41 |
| 56.26 | 1.635 | 20 |
| 27.70 | 3.220 | 19 |
| 58.77 | 1.571 | 15 |
| 60.91 | 1.521 | 14 |
| 33.73 | 2.657 | 12 |
| 42.39 | 2.133 | 12 |
| 50.73 | 1.799 | 12 |
| 46.77 | 1.942 | 10 |
| 55.08 | 1.667 | 8 |

Atomic structure:
```
18
Lattice="2.8462 -10.1361 0.0000 2.8462 10.1361 0.0000 0.0000 0.0000 10.6302" Properties=species:S:1:pos:R:3 pbc="T T T"
Pm 2.8462 9.7899 5.3151
Pm 2.8462 4.4599 8.4303
Pm 2.8462 4.1091 1.9852
Pm 2.8462 2.3198 5.3335
Pm 2.8462 0.4093 2.3367
Pm 2.8462 -0.4093 7.6518
Pm 2.8462 -2.3198 0.0184
Pm 2.8462 -4.1091 7.3003
Pm 2.8462 -4.4599 3.1152
Pm 2.8462 -9.7899 0.0000
Pr 2.8462 1.7621 9.9133
Pr 2.8462 -1.7621 4.5982
Ho 2.8462 7.8356 2.2661
Ho 2.8462 7.7914 8.4709
Ho 2.8462 -7.7914 3.1558
Ho 2.8462 -7.8356 7.5812
Er 2.8462 6.1007 5.2148
Er 2.8462 -6.1007 10.5299
```

# 2
Pm2HoEr6Sc3: simulated XRD peak list (Cu Kα), based on a GGA-PBE-relaxed structure.
Neutral-atom scattering factors, no anomalous dispersion.

Principal peaks in the range 2θ = 10–90°, in order of falling intensity:
| Position (°2θ) | d_spacing | I/Imax |
| --- | --- | --- |
| 31.49 | 2.841 | 100 |
| 36.60 | 2.455 | 66 |
| 31.76 | 2.818 | 31 |
| 62.72 | 1.481 | 26 |
| 52.55 | 1.741 | 24 |
| 52.90 | 1.731 | 21 |
| 62.57 | 1.485 | 14 |
| 63.03 | 1.475 | 12 |
| 65.74 | 1.420 | 12 |
| 86.06 | 1.130 | 12 |
| 88.92 | 1.101 | 11 |
| 15.72 | 5.636 | 10 |

Atomic structure:
```
12
Lattice="3.0166 -5.2231 0.0000 3.0166 5.2231 0.0000 -2.0092 0.0000 11.2715" Properties=species:S:1:pos:R:3 pbc="T T T"
Pm 3.0166 3.4807 0.0000
Pm 3.0166 -3.4807 0.0000
Ho 3.0166 0.0000 0.0000
Er 0.0021 1.7389 8.3325
Er 1.0096 0.0000 2.9378
Er 0.0021 -1.7389 8.3325
Er 4.0218 1.7389 2.9390
Er 3.0144 0.0000 8.3337
Er 4.0218 -1.7389 2.9390
Sc -1.0046 0.0000 5.6357
Sc 2.0120 1.7379 5.6357
Sc 2.0120 -1.7379 5.6357
```

> Which formula does entry 2 have?

Pm2HoEr6Sc3

~~~~~

For ZrCd2H12O6F8, a PBE-relaxed structure gives the theoretical powder X-ray diffraction pattern in this record (Cu Kα, 1.54184 Å).
Kinematic intensities with the Lorentz-polarization factor, no thermal factor.

Main lines, by angle (2θ from 10° to 80°):
2θ = 13.4°, rel. 21, hkl 1 1 0; 2θ = 13.8°, rel. 18, hkl 1 1 -1; 2θ = 14.8°, rel. 100, hkl 0 0 2; 2θ = 22.1°, rel. 16, hkl 1 1 2; 2θ = 22.5°, rel. 29, hkl 0 2 1; 2θ = 25.4°, rel. 38, hkl 3 1 -1; 2θ = 26.3°, rel. 16, hkl 2 2 -1; 2θ = 26.9°, rel. 20, hkl 3 1 0

Atomic structure:
```
data_ZrCd2H12O6F8
_chemical_formula_sum 'Zr4 Cd8 H48 O24 F32'
_cell_length_a 11.6179
_cell_length_b 8.3792
_cell_length_c 12.8306
_cell_angle_alpha 90.00
_cell_angle_beta 111.23
_cell_angle_gamma 90.00
_space_group_name_H-M_alt 'C 1 2/c 1'
-- stop --


The aim of Apple’s ATT is to add transparency to this process so individuals know what is happening and can choose what apps can track them [4].  This means people will have to opt in to allow information to be collected by third party apps. 


While the move by Apple to increase transparency and improve privacy is to be commended, there are concerns about the impact of this change for advertisers and app developers. [5] With people having to make a conscious decision whether to allow tracking or not, it is likely more people opt out. [6]  The ad industry has long relied on gathering data about people’s web browsing behaviour in order to serve up ads, that users might be interested in.  A shrinking pool of user data could lead to lower sales for brands and lower ad revenue for mobile apps and publishers.[7]  Concerns that have been expressed by Facebook.[8]

-- Materials data, kept here for reference --
'''
LiVP4O12: simulated powder XRD pattern (Cu Ka), based on a cell relaxed with PBE+U.
Peak positions follow from Bragg's law for the DFT cell and can differ from measured ones.

Peak list (10 most intense, 2θ = 10–90°, in order of rising 2θ)
- 13.5°, rel. 32
- 18.4°, rel. 53
- 21.0°, rel. 34
- 21.6°, rel. 62
- 22.4°, rel. 25
- 23.7°, rel. 34
- 27.0°, rel. 100
- 27.2°, rel. 28
- 31.3°, rel. 24
- 33.8°, rel. 24

```
36
Lattice="7.745 -3.683 0.000 7.745 3.683 0.000 -5.192 0.000 8.213" Properties=species:S:1:pos:R:3 pbc="T T T"
Li 3.851 2.275 6.160
Li 6.447 -2.275 2.053
V 6.447 0.976 2.053
V 3.851 -0.976 6.160
P -1.289 0.589 5.262
P 1.291 1.244 6.897
P 1.307 -0.589 1.156
P 6.412 1.244 5.422
P 3.887 -1.244 2.791
P 8.992 0.589 7.057
P 9.008 -1.244 1.316
P 11.588 -0.589 2.951
O 3.708 3.059 4.422
O 1.028 0.910 1.710
O 4.825 2.208 2.245
O 0.191 0.787 5.875
O 3.994 3.059 7.897
O 6.012 1.069 0.102
O -1.568 -0.910 5.817
O 8.070 2.208 1.861
O 2.590 0.587 6.489
O 2.787 -0.787 1.769
O 6.883 1.069 4.005
O 5.113 0.587 5.831
O 5.186 -0.587 2.382
O 3.416 -1.069 4.208
O 7.512 0.787 6.444
O 7.709 -0.587 1.724
O 2.229 -2.208 6.351
O 11.867 0.910 2.396
O 4.287 -1.069 8.111
O 6.304 -3.059 0.316
O 10.108 -0.787 2.338
O 5.474 -2.208 5.968
O 9.271 -0.910 6.503
O 6.590 -3.059 3.791
```

----------

K2TaCuI6: simulated XRD peak list (Cu Kα), based on a crystal structure in the Materials Project, relaxed with GGA-PBE.

Top 10 peaks for 2θ = 15–90°, in order of falling intensity:
two_theta, d (Å), Rel. int.
31.26, 2.862, 100
15.48, 5.723, 79
44.79, 2.023, 73
26.98, 3.304, 58
35.06, 2.559, 44
74.09, 1.280, 32
55.63, 1.652, 25
53.07, 1.726, 25
82.59, 1.168, 24
47.67, 1.908, 23

Structural model:
abc: 8.0936 8.0936 8.0936
angles: 60.00 60.00 60.00
Fractional coordinates of all 10 atoms:
1 K 0.2500 0.2500 0.2500
2 K 0.7500 0.7500 0.7500
3 Ta 0.0000 0.0000 0.0000
4 Cu 0.5000 0.5000 0.5000
5 I 0.2493 0.2493 0.7507
6 I 0.2493 0.7507 0.2493
7 I 0.2493 0.7507 0.7507
8 I 0.7507 0.2493 0.2493
9 I 0.7507 0.2493 0.7507
10 I 0.7507 0.7507 0.2493

***

La2Cu2I: simulated XRD peak list (Cu Kα), based on a crystal structure in the Materials Project, relaxed with GGA-PBE.

Top 10 peaks for 2θ = 15–90°, in order of falling intensity:
two_theta, d (Å), Rel. int.
31.72, 2.821, 100
42.34, 2.135, 43
53.86, 1.702, 22
24.07, 3.697, 21
70.80, 1.331, 19
60.70, 1.526, 17
39.42, 2.286, 17
26.18, 3.404, 16
41.39, 2.181, 9
58.49, 1.578, 8

Structural model:
abc: 4.2693 4.2693 8.7253
angles: 90.00 90.00 120.00
Fractional coordinates of all 5 atoms:
1 La 0.0000 0.0000 0.2120
2 La 0.0000 0.0000 0.7880
3 Cu 0.3333 0.6667 0.0000
4 Cu 0.6667 0.3333 0.0000
5 I 0.6667 0.3333 0.5000

***

La2Cu2I: simulated XRD peak list (Cu Kα), based on a crystal structure in the Materials Project, relaxed with GGA-PBE.

Top 10 peaks for 2θ = 15–90°, in order of falling intensity:
two_theta, d (Å), Rel. int.
31.66, 2.826, 100
42.45, 2.130, 45
53.91, 1.701, 22
60.53, 1.530, 20
70.92, 1.329, 19
24.66, 3.610, 16
24.13, 3.688, 14
'''


There are doomsayers who claim it will shut off the stream of data app developers, measurement companies, and advertisers have used to link users’ behaviour across apps and mobile websites and will reshape the digital advertising industry.  However, data collection will still be allowed if it is spelled out in an app’s privacy policy. The changes only affect whether app developers share data they collect with third parties or mix their data with outside data from third parties, to help target ads.[9]


What this change by Apple does reinforce is the need to remain flexible and adaptable in the area of digital marketing.  In considering our adaptability, it is useful to consider some issues.


Given the move by Apple to increase customer’s privacy in the data that is collected about them, a move which will be followed by other large companies, are we keeping pace with new privacy protections for customers and clients?[10]. New restraints on the data that can be used for measurement and analysis can create competitive advantage in moments of dramatic change for organisations that are prepared to invest or adapt [11]. 


Perhaps, we need to transition away from total reliance on deterministic, user-centric models of advertising and use more holistic, macro-level models that look at variations in ad spend and revenue over time to attribute efficiency to channel-specific ad campaigns[12].  It may be that models such as Media Mix Modelling (MMM) which uses aggregate data may become as important as data driven marketing in this new era [13].


What is clear with the changes that will occur is the on-going importance of deepening our understanding of our clients [14].  The products that suffer most in the loss of the identifier-based advertising targeting are those that target niche audiences and depend on high rates of monetization participation, or very extreme levels of monetization from a small segment of the customer base[15].  The need to understand our clients so they are receptive to the products or services we provide remains paramount.


Linked with a greater understanding of our clients is the need to be more creative and use creativity as a point of differentiation.  While novel, creative, and attractive ads cannot fully replace the efficiency lost in digital advertising from the deprecation of advertising identifiers, it can help to reach the most relevant segment of an audience by penetrating through generic, nondescript advertising from competitors[16].


The changes being brought in by Apple will have an impact on the data collected, however it does provide us with an opportunity to reflect on our current practices and develop new ideas and practices that can enhance our digital advertising.